Consented MURDOCK Study participants complete a baseline health questionnaire at enrollment, as well as a brief physical exam and collection of blood and urine. Consent includes permission to access information from medical records, storage of collected samples in the biorepository, access to collected data and biospecimens for future approved research studies, and contact regarding new research study opportunities.
Data have been organized into “storefronts” that summarize characteristics of a population of research interest as well as available data and samples for that population.
Each storefront includes a cover page that summarizes the sources of data in the MURDOCK Study database, as well as important descriptions and definitions to help understand the data presented in the storefronts.
Duke Kannapolis also has published MURDOCK Study data, stripped of identifiers, in an interactive dashboard that functions as a self-service data exploration tool for collaborators.
Storefronts for the MURDOCK Study population and additional populations of interest can be found below:
Data sources, descriptions, and definitions:
The baseline questionnaire collects contact information, current residential street address, and primary physician; alternate contact information; date and place of birth; demographics; current or past diagnosis of 34 medical conditions; menopausal status in women; medications, vitamins and supplements; dietary and physical activity assessment; hours of sleep per night; tobacco and alcohol use; second-hand smoke exposure; and selected PROMIS® participant-reported outcomes domains. Socioeconomic data collected at baseline included marital status, highest level of education of participant and participant’s mother and father, employment status, mother’s and father’s occupations, housing (type, how paid for, number of adults and children in the household) and total household income. In addition, a brief physical exam (vital signs, height, weight, and waist circumference) was conducted at enrollment.
Medical conditions: ”Do you have, or have you ever had, any of the following [medical conditions]?” (yes, no, don’t know). Counts are unique participants reporting yes to specific condition. Medications: “Please list any pharmaceutical and/or natural medications (including vitamins) that you are currently taking.” Data are captured in free-text format as written by the participant and coded using RxNorm. Summary metrics are based on everything reported. Top 5 reported medications are limited to reported prescriptions.
Blood was collected at baseline and processed into the following specific samples: whole blood in EDTA for DNA extraction, whole blood in PAXgene for RNA extraction, plasma, serum and buffy coat in cryovials. Urine was collected and aliquoted in cryovials. Sample collection was not done systematically for MURDOCK enrollees; however, some nested sub cohorts and other studies enrolling MURDOCK registry participants include sample collection at follow up time points. All samples are stored at -80°C in a central biorepository current managed by Fisher BioServices, a division of Thermo Fisher Scientific, under a contractual agreement with Duke University.
Samples in inventory: Data are summarized by sample type as well as specific container and size. Participant counts are unique individuals with one or more aliquots. Aliquot counts are all unique samples for a given type and container, size. Freezers is a calculation of approximate storage requirements based on sample type/size, box size, and number of boxes that can be stored per freezer.
Participants are asked to complete a follow-up form once a year around the time of their original enrollment date. Participants may update contact information, primary care physician/practice and alternate contact. PROMIS domains are repeated at each annual time point to capture changes in participant-reported outcomes over time. The form collects new incidence/diagnosis of the same 34 medical conditions surveyed at baseline. Hospitalizations during the past year are collected along with reason, as well as specific medical procedures. Participants may update their medication list to reflect current medications, vitamins and supplements being taken at the time of follow up form completion.
Vital status: Death reported by family member or alternate contact is confirmed by obituary as the primary source. Cause of death is not captured. Follow-up metrics: Follow-up is defined as complete if participant fills out the survey online or by mail or phone. Completeness is measured as surveys completed relative to years eligible to complete follow-up.
Medical conditions: “Please indicate if you have received a new diagnosis of any of the following medical conditions in the past year (yes, no, don’t know).” Counts and percentages are unique participants reporting yes to specific condition in follow-up for participants that did NOT report yes at baseline.
Procedures: ”Please indicate if you have any of the following medical procedures in the past year.” Counts are unique participants reporting the specified procedure one or more times during follow up.
Hospitalizations: Participants are asked to report if they have been hospitalized within the last year, for each hospitalization they are asked to list reason(s) for hospitalization, admission date and hospital name. Reasons for hospitalization are captured as free-text responses as written by participants. Responses are coded, when possible, in order to list the most frequently reported reasons for hospitalization.
Medications: (see note above for medications reported at baseline). The denominator for data based on last follow-up are participants with at least one follow-up survey complete.
Next to the article, the page also holds calculated crystals >
┌──
# 1
Density functional theory data (PBE) for K3Cu4S4 after structural relaxation.

## Properties
**Spin magnetization**: 0.0 μB/f.u.
**E_form**: -82.2 kJ/mol of atoms

Cell: 3.828 7.865 15.697 Å, 90.00 90.00 90.00°
Fractional coordinates of all 22 atoms:
K (0.500, 0.018, 0.231)
K (0.500, 0.982, 0.769)
K (0.500, 0.482, 0.731)
K (0.500, 0.518, 0.269)
K (0.000, 0.000, 0.000)
K (0.000, 0.500, 0.500)
Cu (0.000, 0.071, 0.415)
Cu (0.000, 0.929, 0.585)
Cu (0.000, 0.429, 0.915)
Cu (0.000, 0.571, 0.085)
Cu (0.500, 0.349, 0.060)
Cu (0.500, 0.651, 0.940)
Cu (0.500, 0.151, 0.560)
Cu (0.500, 0.849, 0.440)
S (0.000, 0.300, 0.140)
S (0.000, 0.700, 0.860)
S (0.000, 0.200, 0.640)
S (0.000, 0.800, 0.360)
S (0.500, 0.227, 0.416)
S (0.500, 0.773, 0.584)
S (0.500, 0.273, 0.916)
S (0.500, 0.727, 0.084)


# 2
Density functional theory data (PBE) for K3Cu8S6 after structural relaxation.

## Properties
**E_form**: -64.7 kJ/mol of atoms

Cell: 8.879 8.879 9.871 Å, 73.89 73.89 25.08°
Fractional coordinates of all 17 atoms:
K (0.693, 0.693, 0.705)
K (0.307, 0.307, 0.295)
K (0.500, 0.500, 0.000)
Cu (0.514, 0.514, 0.360)
Cu (0.486, 0.486, 0.640)
Cu (0.696, 0.696, 0.087)
Cu (0.910, 0.910, 0.536)
Cu (0.090, 0.090, 0.464)
Cu (0.907, 0.907, 0.797)
Cu (0.093, 0.093, 0.203)
Cu (0.304, 0.304, 0.913)
S (0.347, 0.347, 0.653)
S (0.839, 0.839, 0.024)
S (0.161, 0.161, 0.976)
S (0.653, 0.653, 0.347)
S (0.044, 0.044, 0.703)
S (0.956, 0.956, 0.297)
└──
Duke has partnered with regional healthcare providers to integrate data from EHR systems for consented MURDOCK Study participants. Participants are identified in EHR systems with robust matching algorithms using common identifiers from the MURDOCK and EHR databases. Data are transferred under a data use agreement (DUA) with the specific provider organization which specifies the scope of data and frequency of transfers. Data availability vary by participant and depend on whether a participant has had one or more encounters with the healthcare provider system during the time period included in the dataset.
Available EHR datasets: Data are summarized by healthcare provider organizations. Counts are unique participants with one or more ICD codes in the EHR dataset. Available EHR domains: Data area summarized by domain in the EHR dataset. Counts are unique participants with one or records (rows of data) for the specified domain. Insights from available EHR data: Specific EHR data related to the population of research interest is presented with granularity when possible.
MURDOCK Study participants may be recruited to enroll in additional research study opportunities by Duke researchers or other collaborators. Data sharing is a condition of collaboration with the MURDOCK Study; therefore, data collected from MURDOCK Study participants and/or generated from biospecimens as part of additional research studies is returned for integration with all other MURDOCK registry data.
Storefronts for nested sub-cohorts summarize surveys, assessments and/or other data collected specifically as part of enrollment and participation in the study.
Samples in inventory: Samples are summarized if collected (see note above for samples collected at baseline).
Participation in other studies: Counts are participants from the population of research interest enrolled in the specified study listed. Brief descriptions of relevant studies are listed along with a summary of study procedures and/or data collected.